Given >
=====
Entry 1:
Density functional theory data (ωB97M-V/def2-TZVPD) for 7 unconnected molecules or ions with the total composition C14H42O7S7 at a distorted geometry.

Geometry as XYZ:
```
70
Properties=species:S:1:pos:R:3
C -0.37 -4.09 5.29
S 1.18 -4.31 4.40
O 2.35 -3.97 5.34
C 1.04 -6.15 4.21
H -0.48 -3.99 6.37
H -1.11 -4.83 4.99
H -0.77 -3.17 4.85
H 1.43 -6.55 5.15
H 1.66 -6.40 3.36
H 0.08 -6.62 3.98
C 9.84 -6.54 6.37
S 11.61 -6.51 5.92
O 12.47 -5.94 7.03
C 12.05 -8.30 5.79
H 9.45 -5.54 6.56
H 9.74 -7.20 7.23
H 9.18 -6.98 5.61
H 12.92 -8.43 5.15
H 11.24 -8.86 5.32
H 12.16 -8.72 6.79
C 3.79 -0.66 0.12
S 2.83 -1.10 1.56
O 1.39 -1.25 1.01
C 3.50 -2.81 1.44
H 3.90 0.39 -0.16
H 3.27 -1.06 -0.75
H 4.79 -1.08 0.02
H 3.09 -3.46 2.22
H 4.59 -2.83 1.39
H 3.23 -3.24 0.47
C 6.25 -2.18 5.57
S 7.05 -3.57 4.70
O 8.15 -4.04 5.66
C 5.63 -4.77 4.64
H 5.68 -1.48 4.96
H 7.03 -1.60 6.07
H 5.49 -2.58 6.24
H 6.11 -5.73 4.48
H 5.00 -4.68 3.75
H 5.05 -4.78 5.56
C 5.15 1.19 7.01
S 4.36 2.80 7.44
O 3.57 2.64 8.78
C 5.90 3.60 8.10
H 5.60 1.25 6.02
H 4.34 0.46 6.97
H 5.90 0.87 7.73
H 6.56 3.07 8.79
H 5.66 4.57 8.53
H 6.59 3.87 7.31
C 4.61 -7.51 2.15
S 6.44 -7.38 1.99
O 6.99 -8.76 1.59
C 6.38 -6.51 0.37
H 4.15 -7.68 1.18
H 4.22 -6.63 2.65
H 4.37 -8.40 2.73
H 7.39 -6.39 -0.03
H 5.87 -5.55 0.42
H 5.78 -7.07 -0.35
C 6.51 -6.89 10.83
S 6.88 -5.28 10.01
O 8.24 -4.86 10.53
C 6.97 -5.91 8.27
H 7.35 -7.51 10.50
H 5.61 -7.39 10.47
H 6.40 -6.95 11.91
H 5.99 -6.14 7.87
H 7.65 -6.76 8.23
H 7.52 -5.19 7.65
```

Values from the calculation:
LUMO level ... 0.000 hartree
2S+1 ... 1
HOMO ... -8.195 eV
Calculated total energy ... -3872.2614 a.u.
Frontier orbital gap ... 8.193 eV
Charge ... 0



Entry 2:
Density functional theory data (ωB97M-V/def2-TZVPD) for 7 unconnected molecules or ions with the total composition C14H43O11 at a distorted geometry.

Geometry as XYZ:
```
68
Properties=species:S:1:pos:R:3
O 34.51 19.66 33.58
H 34.80 20.37 33.15
H 35.23 18.96 33.66
H 33.93 20.04 34.32
C 35.53 15.70 34.00
C 35.51 15.55 32.42
O 35.60 14.18 32.05
O 35.33 17.05 34.27
H 36.32 15.34 34.54
H 34.95 15.08 34.27
H 36.22 16.09 32.00
H 34.53 15.98 32.11
H 36.34 14.26 31.50
H 34.85 17.11 35.12
C 35.81 19.53 37.12
C 35.64 20.78 38.01
O 35.48 20.44 39.35
O 36.40 19.88 35.84
H 34.85 19.05 36.91
H 36.52 18.81 37.57
H 34.71 21.44 37.66
H 36.61 21.28 37.93
H 34.58 20.38 39.69
H 37.31 19.89 35.77
C 34.52 22.31 31.00
C 33.76 23.63 30.92
O 33.47 24.04 29.60
O 34.86 22.26 32.32
H 35.37 22.31 30.33
H 33.77 21.60 30.76
H 34.40 24.42 31.29
H 32.80 23.61 31.49
H 33.05 24.90 29.58
H 35.60 22.77 32.56
C 32.71 19.18 30.08
C 31.40 19.84 29.71
O 31.24 19.89 28.29
O 32.88 18.91 31.36
H 33.47 19.90 29.64
H 32.76 18.31 29.59
H 31.14 20.67 30.20
H 30.66 19.23 30.18
H 32.03 20.31 27.85
H 32.02 18.58 31.52
C 32.59 22.37 35.28
C 31.61 21.24 35.07
C 31.46 21.08 33.62
O 32.37 20.03 35.40
H 32.26 23.40 35.39
H 33.60 22.31 35.04
H 32.75 22.36 36.43
H 30.75 21.35 35.63
H 30.92 20.09 33.40
H 32.22 20.94 33.06
H 30.58 21.74 33.24
H 32.00 19.88 36.25
C 38.68 18.48 31.69
C 37.53 19.48 31.55
C 36.30 18.81 30.73
O 37.10 19.85 32.86
H 39.45 18.86 32.31
H 39.03 18.22 30.68
H 38.42 17.65 32.21
H 37.80 20.18 31.10
H 35.76 18.32 31.48
H 36.45 18.02 29.96
H 35.66 19.59 30.40
H 37.94 20.17 33.49
```

Values from the calculation:
LUMO level ... -0.088 hartree
2S+1 ... 1
HOMO ... -12.750 eV
Calculated total energy ... -1386.2214 a.u.
Frontier orbital gap ... 10.364 eV
Charge ... +1



Entry 3:
Density functional theory data (ωB97M-V/def2-TZVPD) for 8 unconnected molecules or ions with the total composition C14H44N10O8 at a distorted geometry.

Geometry as XYZ:
```
76
Properties=species:S:1:pos:R:3
N -6.22 -3.56 -18.28
C -6.80 -4.74 -18.07
N -8.15 -4.56 -18.15
O -6.22 -5.83 -17.89
H -5.21 -3.54 -18.18
H -6.88 -2.81 -18.21
H -8.66 -5.44 -18.19
H -8.53 -3.79 -18.68
N -10.11 -0.95 -20.46
C -9.71 -2.06 -19.81
N -10.41 -3.18 -20.07
O -8.92 -1.99 -18.86
H -9.77 -0.03 -20.27
H -10.95 -1.02 -21.02
H -10.89 -3.35 -20.94
H -10.27 -4.00 -19.50
=====
Activity >
Set down everything earlier on with every line break kept, please.
Completed >
Entry 1:
Density functional theory data (ωB97M-V/def2-TZVPD) for 7 unconnected molecules or ions with the total composition C14H42O7S7 at a distorted geometry.

Geometry as XYZ:
```
70
Properties=species:S:1:pos:R:3
C -0.37 -4.09 5.29
S 1.18 -4.31 4.40
O 2.35 -3.97 5.34
C 1.04 -6.15 4.21
H -0.48 -3.99 6.37
H -1.11 -4.83 4.99
H -0.77 -3.17 4.85
H 1.43 -6.55 5.15
H 1.66 -6.40 3.36
H 0.08 -6.62 3.98
C 9.84 -6.54 6.37
S 11.61 -6.51 5.92
O 12.47 -5.94 7.03
C 12.05 -8.30 5.79
H 9.45 -5.54 6.56
H 9.74 -7.20 7.23
H 9.18 -6.98 5.61
H 12.92 -8.43 5.15
H 11.24 -8.86 5.32
H 12.16 -8.72 6.79
C 3.79 -0.66 0.12
S 2.83 -1.10 1.56
O 1.39 -1.25 1.01
C 3.50 -2.81 1.44
H 3.90 0.39 -0.16
H 3.27 -1.06 -0.75
H 4.79 -1.08 0.02
H 3.09 -3.46 2.22
H 4.59 -2.83 1.39
H 3.23 -3.24 0.47
C 6.25 -2.18 5.57
S 7.05 -3.57 4.70
O 8.15 -4.04 5.66
C 5.63 -4.77 4.64
H 5.68 -1.48 4.96
H 7.03 -1.60 6.07
H 5.49 -2.58 6.24
H 6.11 -5.73 4.48
H 5.00 -4.68 3.75
H 5.05 -4.78 5.56
C 5.15 1.19 7.01
S 4.36 2.80 7.44
O 3.57 2.64 8.78
C 5.90 3.60 8.10
H 5.60 1.25 6.02
H 4.34 0.46 6.97
H 5.90 0.87 7.73
H 6.56 3.07 8.79
H 5.66 4.57 8.53
H 6.59 3.87 7.31
C 4.61 -7.51 2.15
S 6.44 -7.38 1.99
O 6.99 -8.76 1.59
C 6.38 -6.51 0.37
H 4.15 -7.68 1.18
H 4.22 -6.63 2.65
H 4.37 -8.40 2.73
H 7.39 -6.39 -0.03
H 5.87 -5.55 0.42
H 5.78 -7.07 -0.35
C 6.51 -6.89 10.83
S 6.88 -5.28 10.01
O 8.24 -4.86 10.53
C 6.97 -5.91 8.27
H 7.35 -7.51 10.50
H 5.61 -7.39 10.47
H 6.40 -6.95 11.91
H 5.99 -6.14 7.87
H 7.65 -6.76 8.23
H 7.52 -5.19 7.65
```

Values from the calculation:
LUMO level ... 0.000 hartree
2S+1 ... 1
HOMO ... -8.195 eV
Calculated total energy ... -3872.2614 a.u.
Frontier orbital gap ... 8.193 eV
Charge ... 0



Entry 2:
Density functional theory data (ωB97M-V/def2-TZVPD) for 7 unconnected molecules or ions with the total composition C14H43O11 at a distorted geometry.

Geometry as XYZ:
```
68
Properties=species:S:1:pos:R:3
O 34.51 19.66 33.58
H 34.80 20.37 33.15
H 35.23 18.96 33.66
H 33.93 20.04 34.32
C 35.53 15.70 34.00
C 35.51 15.55 32.42
O 35.60 14.18 32.05
O 35.33 17.05 34.27
H 36.32 15.34 34.54
H 34.95 15.08 34.27
H 36.22 16.09 32.00
H 34.53 15.98 32.11
H 36.34 14.26 31.50
H 34.85 17.11 35.12
C 35.81 19.53 37.12
C 35.64 20.78 38.01
O 35.48 20.44 39.35
O 36.40 19.88 35.84
H 34.85 19.05 36.91
H 36.52 18.81 37.57
H 34.71 21.44 37.66
H 36.61 21.28 37.93
H 34.58 20.38 39.69
H 37.31 19.89 35.77
C 34.52 22.31 31.00
C 33.76 23.63 30.92
O 33.47 24.04 29.60
O 34.86 22.26 32.32
H 35.37 22.31 30.33
H 33.77 21.60 30.76
H 34.40 24.42 31.29
H 32.80 23.61 31.49
H 33.05 24.90 29.58
H 35.60 22.77 32.56
C 32.71 19.18 30.08
C 31.40 19.84 29.71
O 31.24 19.89 28.29
O 32.88 18.91 31.36
H 33.47 19.90 29.64
H 32.76 18.31 29.59
H 31.14 20.67 30.20
H 30.66 19.23 30.18
H 32.03 20.31 27.85
H 32.02 18.58 31.52
C 32.59 22.37 35.28
C 31.61 21.24 35.07
C 31.46 21.08 33.62
O 32.37 20.03 35.40
H 32.26 23.40 35.39
H 33.60 22.31 35.04
H 32.75 22.36 36.43
H 30.75 21.35 35.63
H 30.92 20.09 33.40
H 32.22 20.94 33.06
H 30.58 21.74 33.24
H 32.00 19.88 36.25
C 38.68 18.48 31.69
C 37.53 19.48 31.55
C 36.30 18.81 30.73
O 37.10 19.85 32.86
H 39.45 18.86 32.31
H 39.03 18.22 30.68
H 38.42 17.65 32.21
H 37.80 20.18 31.10
H 35.76 18.32 31.48
H 36.45 18.02 29.96
H 35.66 19.59 30.40
H 37.94 20.17 33.49
```

Values from the calculation:
LUMO level ... -0.088 hartree
2S+1 ... 1
HOMO ... -12.750 eV
Calculated total energy ... -1386.2214 a.u.
Frontier orbital gap ... 10.364 eV
Charge ... +1



Entry 3:
Density functional theory data (ωB97M-V/def2-TZVPD) for 8 unconnected molecules or ions with the total composition C14H44N10O8 at a distorted geometry.

Geometry as XYZ:
```
76
Properties=species:S:1:pos:R:3
N -6.22 -3.56 -18.28
C -6.80 -4.74 -18.07
N -8.15 -4.56 -18.15
O -6.22 -5.83 -17.89
H -5.21 -3.54 -18.18
H -6.88 -2.81 -18.21
H -8.66 -5.44 -18.19
H -8.53 -3.79 -18.68
N -10.11 -0.95 -20.46
C -9.71 -2.06 -19.81
N -10.41 -3.18 -20.07
O -8.92 -1.99 -18.86
H -9.77 -0.03 -20.27
H -10.95 -1.02 -21.02
H -10.89 -3.35 -20.94
H -10.27 -4.00 -19.50